What is Chronic Fatigue Syndrome and Fibromyalgia?
7 to 10 million Americans suffer from the debilitating effects of Fibromyalgia and Chronic Fatigue Syndrome. One of the most frustrating aspects of this disorder is that there is no laboratory test that confirms this diagnosis, although many attempts have been made. Recently some researcher stated, “These abnormal findings and distribution of symptoms (associated with Fibromyalgia) point to a total body affliction…(1)”.
What causes Chronic Fatigue Syndrome and Fibromyalgia?
Although depression is frequently involved, it is usually not the primary cause. As symptoms vary from person to person, doctors frequently say, “It is all in your head.” This is only furthered by the fact that most medical practitioners are male and CFS and Fibromyalgia mainly affect women.
According to the Arthritis Foundation, the possible causes consist of physical trauma, hormonal changes, lack of fitness, inappropriate exercise, poor posture, emotional trauma, and smoking. Most medical practitioners treat with medication, exercise, rest, and learning to cope.
How do I know if I have Chronic Fatigue Syndrome and Fibromyalgia?
Symptoms of CFS and Fibromyalgia include muscle pain, tender regions in the muscles, fatigue, headaches, bowl disturbances, sleep disturbances, anxiety, and depression. The grouping of CFS and FM together is fairly common since the symptoms are similar.
It is frequently found that Chronic Fatigue Syndrome and Fibromyalgia start relatively soon after auto accidents. Therefore, Chiropractic care of the cervical spine can help prevent this problem from occurring, or help in its treatment.
== Inserted here: crystal structures ==
VASP calculation (GGA-PBE) on a geometry-optimized Nd2Zn17 structure.

CIF file:
```
data_Nd2Zn17
_cell_length_a 6.858
_cell_length_b 6.858
_cell_length_c 6.858
_cell_angle_alpha 82.65
_cell_angle_beta 82.65
_cell_angle_gamma 82.65
_space_group_name_H-M_alt 'P 1'
_space_group_IT_number 1
_space_group_name_Hall 'P 1'
loop_
_atom_site_label
_atom_site_fract_x
_atom_site_fract_y
_atom_site_fract_z
Nd1 0.164 0.164 0.164
Nd2 0.836 0.836 0.836
Zn1 0.000 0.500 0.500
Zn2 0.150 0.150 0.661
Zn3 0.150 0.661 0.150
Zn4 0.207 0.500 0.793
Zn5 0.207 0.793 0.500
Zn6 0.339 0.850 0.850
Zn7 0.401 0.401 0.401
Zn8 0.500 0.000 0.500
Zn9 0.500 0.207 0.793
Zn10 0.500 0.500 0.000
Zn11 0.500 0.793 0.207
Zn12 0.599 0.599 0.599
Zn13 0.661 0.150 0.150
Zn14 0.793 0.207 0.500
Zn15 0.793 0.500 0.207
Zn16 0.850 0.339 0.850
Zn17 0.850 0.850 0.339
```

**Total DFT energy (no corrections)**: -0.06970 Ha/atom
**ρ**: 7377 kg/m3
**Formation energy from the elements**: -0.2676 eV/atom
**Space group**: R-3m (166)
What are common functional problems related to Chronic Fatigue Syndrome and Fibromyalgia?
The adrenal glands are your body’s stress glands. They produce hormones that control sugar metabolism, sodium content in the blood, and sex hormones. A decrease in adrenal gland efficiency can lead to fatigue, low back pain, decreased immunity, poor sugar control, and sexual hormone problems.
If the pancreas–which is the primary blood sugar regulator in the body–isn’t functioning properly, it can lead to hypoglycemia and diabetes. Symptoms of those will include fatigue, fogginess, depression, aches and pains, and malaise.
The thyroid gland controls your metabolic rate. If it is dysfunctional, it can cause fatigue, hormonal problems, and many other symptoms that can be related to CFS. It is important to note: many lab tests come back with functional hypothyroidism. This is normal, and is usually related to incorrect lab tests or antiquated normal values. This is VERY common.
The large and small intestines play a crucial role in health. They break down nutrients to their smallest components and absorb them into the bloodstream. If there is a problem with either, then larger molecules can slip into the bloodstream, giving rise to the “Leaky Gut Syndrome.” This is believed to be responsible for autoimmune diseases, including Rheumatoid Arthritis. Other issues arise with unhealthy large or small intestines, such as improper bacterial flora in the gut (dysbiosis) and candid infections. Symptoms of these problems are similar to those of CFS and Fibromyalgia.
How can you help?
Alternative health care practitioners have shown significant improvement in patients with these problems, since they tend to treat the whole body rather than the symptoms. Typically, patients with CFS and Fibromyalgia have functional problems, such as issues within the glands or organs of the body, within the musculo-skeletal system, or within the nervous system.
It is important to note: organ dysfunction does not mean a diseased organ. If you have a diseased organ, you must seek medical attention–holistic practitioners do not treat disease. However, prior to an organ becoming diseased, there are protocols that can be taken that a holistic practitioner CAN do. These protocols are not considered by medical professionals, though they could prevent disease from occurring.
All of the aforementioned issues can be treated with diet, nutrition, and various Applied Kinesiology techniques. A number of recent studies have shown that Chiropractic care can provide relief from pain of Fibromyalgia, as well, through the use of spinal manipulation, trigger point therapy, massage, and physical therapy.
If you or a loved one suffers from this disorder, realize that there are other ways of addressing this problem than you may have been exposed to. Seek out the care that you deserve, and don’t take no for an answer!
1. R. Paul St. Amand. The Use of Uricosuric Drugs in Fibromyalgia. Marina del Rey, Ca., Letter, December 1994.
Records of crystals, kept here for reference.
/*
{
  "formula": "Rb2LiNd2W4O16",
  "functional": "PBE+U",
  "state": "optimized geometry",
  "cell": [[-6.610, 3.900, 0.478], [0.427, -0.179, 8.079], [0.192, 6.668, 3.624]],
  "species": ["Rb", "Rb", "Li", "Nd", "Nd", "W", "W", "W", "W", "O", "O", "O", "O", "O", "O", "O", "O", "O", "O", "O", "O", "O", "O", "O", "O"],
  "fractional_positions": [[0.794, 0.200, 0.746], [0.154, 0.876, 0.241], [0.364, 0.613, 0.249], [0.250, 0.788, 0.737], [0.757, 0.209, 0.257], [0.690, 0.690, 0.794], [0.707, 0.681, 0.294], [0.312, 0.293, 0.203], [0.297, 0.311, 0.703], [0.600, 0.384, 0.457], [0.248, 0.053, 0.794], [0.049, 0.338, 0.877], [0.393, 0.070, 0.355], [0.743, 0.623, 0.566], [0.378, 0.266, 0.923], [0.629, 0.918, 0.636], [0.399, 0.621, 0.517], [0.039, 0.227, 0.302], [0.768, 0.936, 0.207], [0.372, 0.592, 0.985], [0.956, 0.654, 0.126], [0.242, 0.358, 0.454], [0.635, 0.742, 0.059], [0.958, 0.765, 0.698], [0.632, 0.417, 0.025]],
  "spacegroup": "P1",
  "ef_ev_per_atom": -2.5789,
  "vol_a3_per_atom": 14.5,
  "de_polymorph_mev_per_atom": 12,
  "m_tot_mub_per_atom": 0.04,
  "density_g_cm3": 6.691,
  "energy_corrected_mp2020_ev_per_atom": -8.3552
}
*/
So much for the records of crystals.
2. FitzGerald, R.T.D., Observations on Trigger Point, Fibromyalgia, Recurrent Headache and the Cervical Syndrome, J Manual Medicine, (1991), 6:124-129.
3. Leach, R., Hosek, R., Clinical and Mioelectric Observations on Fibromyalgia: Chiropractic Prospective Clinical Series, Proceedings of the International Conference on Spinal Manipulation, June 1994, Pgs.13-14.
4. Thiel, Robert J. Chronic Fatigue Assessment and Intervention: The Result of 101 Cases. ANMA and AANC Journal 1 (3), 1996.
5. Crook, William. The Yeast Connection, 2nd Edition. Jackson, Tennessee: Professional Books, 1983.
Materials data, as found in the file >
/*
The following is a DFT calculation (GGA-PBE) of a relaxed structure of Na7Zr4Si5PO24.

Results
- energy relative to the lowest polymorph listed for this composition (meV/atom) = 7
- symmetry = No. 1
- MP2020-corrected energy (eV/atom) = -7.874
- DFT formation energy (eV/atom) = -3.12
- mass density (Mg/m³) = 3.16

Cell lengths 9.272, 9.277, 22.861 Å; angles 89.91, 90.06, 120.05 degrees
Atoms (fractional coordinates):
Na (0.637, 0.002, 0.251)
Na (0.363, 0.364, 0.248)
Na (0.001, 0.633, 0.251)
Na (0.633, 0.632, 0.749)
Na (0.999, 0.365, 0.750)
Na (0.368, 0.003, 0.751)
Na (0.301, 0.332, 0.584)
Na (0.032, 0.701, 0.583)
Na (0.669, 0.967, 0.584)
Na (0.293, 0.968, 0.080)
Na (0.039, 0.337, 0.086)
Na (0.973, 0.670, 0.918)
Na (0.329, 0.293, 0.919)
Na (0.330, 0.030, 0.417)
Na (0.705, 0.669, 0.419)
Na (0.995, 0.008, 0.499)
Na (0.982, 0.990, 0.000)
Na (0.668, 0.313, 0.834)
Na (0.686, 0.330, 0.335)
Na (0.345, 0.661, 0.165)
Na (0.335, 0.666, 0.667)
Zr (0.997, 0.002, 0.352)
Zr (0.999, 0.003, 0.853)
Zr (0.000, 0.999, 0.648)
Zr (0.998, 0.994, 0.147)
Zr (0.667, 0.334, 0.685)
Zr (0.668, 0.341, 0.185)
Zr (0.666, 0.332, 0.981)
Zr (0.675, 0.332, 0.481)
Zr (0.334, 0.665, 0.019)
Zr (0.332, 0.669, 0.518)
Zr (0.327, 0.667, 0.315)
Zr (0.332, 0.671, 0.815)
Si (0.296, 0.001, 0.251)
Si (0.705, 0.706, 0.252)
Si (0.000, 0.293, 0.247)
Si (0.296, 0.296, 0.751)
Si (0.999, 0.704, 0.751)
Si (0.705, 0.999, 0.748)
Si (0.964, 0.333, 0.585)
Si (0.372, 0.040, 0.582)
Si (0.666, 0.628, 0.583)
Si (0.964, 0.631, 0.082)
Si (0.368, 0.334, 0.083)
Si (0.036, 0.370, 0.917)
Si (0.333, 0.965, 0.917)
Si (0.629, 0.963, 0.416)
Si (0.033, 0.668, 0.416)
P (0.666, 0.042, 0.085)
P (0.626, 0.665, 0.916)
P (0.334, 0.373, 0.417)
O (0.209, 0.031, 0.308)
O (0.821, 0.788, 0.311)
O (0.969, 0.167, 0.302)
O (0.206, 0.177, 0.808)
O (0.973, 0.794, 0.809)
O (0.832, 0.029, 0.803)
O (0.787, 0.970, 0.689)
O (0.179, 0.209, 0.692)
O (0.028, 0.820, 0.693)
O (0.799, 0.833, 0.197)
O (0.030, 0.212, 0.188)
O (0.177, 0.972, 0.193)
O (0.883, 0.365, 0.645)
O (0.489, 0.127, 0.640)
O (0.639, 0.513, 0.641)
O (0.875, 0.514, 0.140)
O (0.642, 0.121, 0.141)
O (0.477, 0.347, 0.142)
O (0.462, 0.309, 0.026)
O (0.854, 0.535, 0.024)
O (0.689, 0.158, 0.032)
O (0.460, 0.157, 0.525)
O (0.692, 0.537, 0.525)
O (0.837, 0.303, 0.530)
O (0.533, 0.682, 0.969)
O (0.155, 0.464, 0.974)
O (0.315, 0.850, 0.975)
O (0.538, 0.848, 0.475)
O (0.318, 0.459, 0.473)
O (0.148, 0.685, 0.474)
O (0.125, 0.649, 0.357)
O (0.515, 0.867, 0.358)
O (0.350, 0.478, 0.362)
O (0.130, 0.485, 0.858)
O (0.353, 0.874, 0.858)
O (0.525, 0.645, 0.859)
O (0.029, 0.844, 0.415)
O (0.812, 0.975, 0.414)
O (0.181, 0.194, 0.414)
O (0.027, 0.189, 0.914)
O (0.157, 0.971, 0.915)
O (0.806, 0.816, 0.914)
O (0.982, 0.166, 0.587)
O (0.186, 0.019, 0.587)
O (0.834, 0.813, 0.586)
O (0.991, 0.820, 0.085)
O (0.828, 0.032, 0.087)
O (0.181, 0.165, 0.085)
O (0.684, 0.165, 0.746)
O (0.481, 0.312, 0.746)
O (0.832, 0.518, 0.747)
O (0.690, 0.522, 0.245)
*/
So much for the materials data >
6. Deluze, C. Electroacupuncture in Fibromyalgia: Results of a controlled trial. British Medical Journal 305: 1249-1251, November 21, 1992.
Dr. Bernard S. Burton DC PA, is a Chiropractic Physician, Clinical Nutritionist, Craniopath, and Acupuncturist in Sunrise, utilizing Applied Kinesiology in his practice. He is located at 7800 W. Oakland Park Blvd, Suite 110 Bldg. D, Sunrise, FL, 33351, in the Belle Terre Plaza, which is southeast of the corner of Oakland Park Blvd and University Drive. He can be reached at (954) 742-0332, FAX (954) 742-7344 or his website: www.betterbacks.com.
Applied Kinesiology (AK) is a system for evaluating body function. It was developed within the Chiropractic Profession and utilizes manual muscle testing, clinical expertise, and lab tests, to diagnose function problems which can then be treated with Chiropractic, Acupuncture, Nutrition, Deep- Tissue Stimulation, Craniosacral work, as well as a variety of other techniques. This type of muscle testing has been termed “Functional Neurology”.